FR: Apres la semaine intensif avec le preparation pour l'exposition photos j'avais bessoin prendre une pause pour relaxation. Et juste par chance Medi (garcon qui on a rencontré au café lecture) nous proposé aller chez lui, rester dans la maison de sa mer à cote Avignon, en Provence. Moi, j'ai aimé bien cette ideé et on est parti. Moi et trois garçon (Medi, Thomas et Axel). Et de partir de tout le debut il y avait les signes que le voyage va etre difficile. Mrd. Je n'aime pas le Facebook. Ca peut être trés pratique parfois, mais ca doit être interdite pendant les vacances. C'est dommage parce que Medi avec Axel ont passé beaucoup de temps sur Facebook devant les ordinateurs.

Between two parts of the text: quantum chemistry results:
-- begin --
The following is a DFT calculation (ωB97M-V with the def2-TZVPD basis set) of a cluster of 7 separate species, C16H26Cl12F13O4PS2 in total at a distorted geometry.

Values from the calculation:
HOMO (eV): -8.60
Frontier orbital gap (eV): 6.9900
Spin multiplicity: 1
SMILES: CO[C@@H](CCC(F)(F)C(F)(F)C(F)(F)C(F)(F)S(F)(F)(F)(F)F)COCP(O)(O)=S.ClCCl.ClCCl.ClCCl.ClCCl.ClCCl.ClCCl
LUMO level (eV): -1.61

Positions of all 74 atoms, in Å:
C: -3.084969 0.928489 -1.601783
O: -2.180314 0.038070 -2.301417
C: -1.512370 -0.874001 -1.413984
C: -0.363254 -0.130729 -0.582830
C: 0.587319 0.743022 -1.520877
C: 2.110778 0.755618 -1.127588
F: 2.585664 -0.591262 -1.231582
F: 2.843409 1.465963 -2.122860
C: 2.471549 1.256264 0.336073
F: 1.878646 0.527502 1.373352
F: 3.872748 1.005733 0.482676
C: 2.349569 2.863563 0.533466
F: 3.569137 3.350176 -0.029163
F: 1.361655 3.444778 -0.263850
C: 2.387762 3.342800 2.047700
F: 3.194073 2.534155 2.877441
F: 3.058349 4.594424 2.042644
S: 0.753976 3.623479 2.904784
F: 1.137803 2.398864 3.992752
F: 1.530909 4.697631 3.942209
F: 0.350626 4.918099 1.960590
F: -0.077142 2.531769 1.991175
F: -0.635690 3.893608 3.761322
C: -2.474125 -1.716440 -0.462752
O: -2.237393 -3.163777 -0.560896
C: -2.728298 -3.701970 0.695804
P: -3.247206 -5.513629 0.586117
O: -2.278167 -6.400060 1.658681
O: -3.261718 -6.139042 -0.987631
S: -5.086206 -5.628227 1.244751
H: -2.765157 1.201926 -0.546158
H: -3.290713 1.877383 -2.232346
H: -4.091710 0.369953 -1.509474
H: -0.966009 -1.634122 -2.081660
H: -0.845265 0.601094 0.163499
H: 0.212160 -0.870716 0.074356
H: 0.104514 1.766922 -1.632435
H: 0.529043 0.272055 -2.568182
H: -2.221932 -1.439125 0.624932
H: -3.583335 -1.569647 -0.653448
H: -1.911425 -3.572047 1.484466
H: -3.656803 -3.102654 0.970511
H: -2.783996 -7.185218 1.956393
H: -2.395043 -6.012654 -1.432561
Cl: -0.105297 -6.301802 -0.777530
C: 0.319416 -7.854528 -1.510505
Cl: -0.988329 -9.028651 -1.327387
H: 0.512763 -7.703323 -2.570672
H: 1.212540 -8.240991 -1.023637
Cl: 6.543205 4.283315 -3.314330
C: 5.926733 4.522523 -1.675265
Cl: 7.246443 4.662200 -0.508173
H: 5.334304 5.435046 -1.649962
H: 5.306198 3.672133 -1.403973
Cl: -5.559000 4.040597 0.114039
C: -4.787071 4.926284 -1.204637
Cl: -3.652431 3.892996 -2.086659
H: -5.553853 5.278305 -1.891994
H: -4.244579 5.774311 -0.791519
Cl: -6.389849 -1.241529 -0.901880
C: -7.113086 0.143109 -1.731207
Cl: -5.930111 1.433894 -1.979651
H: -7.488915 -0.182354 -2.699158
H: -7.932897 0.526936 -1.127210
Cl: 7.641298 1.855599 4.323896
C: 7.009717 2.331607 2.742832
Cl: 7.700269 1.342014 1.451801
H: 5.928372 2.207625 2.742518
H: 7.261726 3.374621 2.561128
Cl: 1.064192 -3.280099 0.274625
C: 2.640720 -2.945003 1.002571
Cl: 2.579289 -3.100345 2.762058
H: 3.368279 -3.652734 0.610238
H: 2.938502 -1.929773 0.747430

Cartesian forces (eV/Å) of the 3 atoms listed first:
C -1.329 -0.671 -0.249
O 0.316 0.100 1.337
C 1.071 -0.866 -0.124

Here are the Mulliken charges for atoms 1 to 4, given in e:
1 C 0.36
2 O -0.53
3 C 0.26
4 C 0.07

=====
-- stop --
Mais. Il faut n'être pas trés negatif. On est sorti et on a vu les choises trés trés jolie. Mais encore, on est sorti trop tard et apres 30min le nuit est tombé et c'etait trop sombre pour voir qqch.
Nous avons visiteés Marseille et c'etait vraiment super! On a vu les autres voluntaires, mangé trés trés bien, visité Irish pub, juste dommage que sans la musique rock mais pop hits.
- - -
{
  "formula": "C61H104F40O5",
  "method": "ωB97M-V with the def2-TZVPD basis set",
  "elements": ["H", "F", "H", "H", "H", "F", "C", "O", "H", "H", "C", "H", "F", "H", "H", "F", "F", "C", "H", "H", "F", "F", "H", "H", "H", "F", "F", "H", "C", "C", "H", "F", "O", "C", "H", "O", "C", "F", "H", "H", "F", "C", "H", "F", "C", "F", "H", "H", "H", "C", "H", "H", "H", "C", "H", "H", "H", "C", "F", "H", "C", "H", "H", "C", "O", "H", "C", "H", "C", "C", "F", "H", "F", "H", "H", "H", "C", "H", "C", "F", "H", "F", "H", "H", "H", "F", "H", "H", "F", "C", "C", "C", "H", "C", "C", "C", "H", "C", "C", "C", "H", "C", "C", "C", "H", "H", "H", "H", "H", "H", "F", "H", "H", "H", "F", "H", "C", "H", "F", "C", "C", "H", "C", "H", "H", "H", "H", "C", "H", "C", "F", "C", "H", "O", "H", "F", "H", "H", "C", "C", "H", "C", "H", "F", "H", "H", "H", "H", "H", "H", "H", "C", "C", "C", "H", "C", "H", "H", "C", "F", "C", "F", "H", "H", "C", "C", "H", "C", "F", "H", "F", "C", "C", "H", "H", "H", "H", "H", "F", "H", "H", "F", "H", "F", "F", "F", "H", "F", "H", "H", "H", "C", "H", "C", "H", "H", "C", "F", "H", "F", "C", "H", "F", "H", "C", "C", "C", "C", "H", "C"],
- - -
Enfin de la voyage moi et Thomas nous avons eu beaucoup de malentendus et ce n'etais pas une fasson agreable pour finir notre voyage. Mais en moment quand on est rentré à la maison à Brioude on a bien discuté avec une tasse du thé chaud, tranquille et patient. Ca c'est comment on apprend et developpe. Il y a rien grave, c'est toujour l'experience.
EN: After intensive week of preparation for my photo exhibition i felt like having a pause of relaxation. And just by chance Mehidi (new arrival in Brioude) proposed us to go with him in south of France to stay in his mothers house and visit the Provence region. Sounded good enough to me and so I went. I and three boys including Thomas. And from the very beginning of the trip it gave some bad signs to be too complicated for relaxation holidays. Damn I really hate Facebook, no matter how convenient sometimes it is but during holidays it should be forbidden. It is a sad truth that third part of the day Medi and Axel spent on facebook.
However I shouldn't be too negative, we did went out and saw some breathtaking views, but again we went out too late and in 30min the spectacular views were sunk in the darkness of the night.
We visited Marseille, it was great. We met some other volunteers, had amazing dinner and went out to the Irish pub. In my big disappointment without an irish music, but world wide known pop hits.
In the end of the trip me and Thomas had a big lava field of misunderstandings which was not at all pleasant way to end the holidays. But the moment I entered my home at Brioude things seemed to be coming back to their places, had a long talk with Thomas, cleared up everything which was misunderstood and that shows clearly that cup of warm tea and calm clear conversation is the way to set things right. And there is nothing wrong to have some things go wrong because that is always an experience and the way to learn and develop.